## Data
=====
Molecular formula: C10H16ClHoPtS
Method: DFT, the ωB97M-V functional and the def2-TZVPD basis

For the HOMO-LUMO gap (alpha / beta), the calculation gives 3.633 / 4.482 eV. As for the multiplicity: 9. The net charge is 0. For the highest occupied orbital energy (alpha / beta), the calculation gives -4.51 / -8.24 eV.

XYZ file:
```
30
Properties=species:S:1:pos:R:3:forces:R:3
Ho -0.02488 0.17279 0.16936 6.1 -2.3 2.8
Cl -0.02468 1.77929 -1.22254 -0.3 5.8 -4.9
C -1.72898 -0.74781 0.43586 -6.4 -3.1 0.8
H -1.66058 -1.56411 1.16426 -0.1 -0.1 0.1
H -2.09778 -1.16811 -0.50904 -0.1 -0.1 0.0
H -2.50038 -0.04811 0.78386 -0.2 -0.1 0.1
Pt 0.67032 0.25179 -4.57104 0.0 0.0 0.1
C -1.34598 0.84459 -4.47364 -1.1 0.1 -0.1
C 2.26662 1.39479 -3.81544 1.0 0.4 0.2
C 1.06132 -1.41891 -5.31564 0.1 -0.2 -0.4
H 2.79412 0.81579 -3.03954 -0.3 0.1 -0.2
H 2.99842 1.59119 -4.61604 -0.3 0.0 0.1
H 1.95812 2.35629 -3.38194 -0.1 -0.3 -0.1
H -1.91608 0.10189 -3.89144 0.3 0.2 0.0
H -1.49628 1.83309 -4.01744 0.2 -0.2 -0.1
H -1.78278 0.85659 -5.48554 0.3 0.0 0.2
H 0.30532 -2.10721 -5.71914 0.1 0.0 0.1
H 2.07632 -1.83351 -5.39414 -0.2 -0.1 0.1
S 1.93172 0.24019 1.96506 -0.1 -0.3 2.3
C 0.84072 -0.04511 3.35426 1.1 0.3 -1.2
C 1.20682 -0.96701 4.34196 -0.3 -0.4 0.9
C 0.36832 -1.19101 5.43806 0.2 0.2 -0.6
C -0.83868 -0.49361 5.54866 0.2 0.1 -0.4
C -1.20668 0.42869 4.56296 0.5 -0.1 -0.3
C -0.36708 0.65509 3.46606 -0.8 -0.1 0.7
H 2.14162 -1.50821 4.26316 0.0 0.1 -0.1
H 0.65492 -1.90271 6.20146 0.0 0.0 -0.1
H -1.48698 -0.66731 6.39786 0.0 0.0 0.0
H -2.14058 0.96839 4.65076 0.0 0.0 -0.1
H -0.65618 1.37239 2.70886 0.0 0.1 -0.1
```
Positions in Å, forces in eV/Å.

Mulliken atomic charge list, values in e, 4 entries: Ho 0.545; Cl -0.384; C -1.257; H 0.325
=====
## Job
Restate the calculation results earlier on from the line with "0.30532 -2.10721" to the end without altering anything.
## Response
H 0.30532 -2.10721 -5.71914 0.1 0.0 0.1
H 2.07632 -1.83351 -5.39414 -0.2 -0.1 0.1
S 1.93172 0.24019 1.96506 -0.1 -0.3 2.3
C 0.84072 -0.04511 3.35426 1.1 0.3 -1.2
C 1.20682 -0.96701 4.34196 -0.3 -0.4 0.9
C 0.36832 -1.19101 5.43806 0.2 0.2 -0.6
C -0.83868 -0.49361 5.54866 0.2 0.1 -0.4
C -1.20668 0.42869 4.56296 0.5 -0.1 -0.3
C -0.36708 0.65509 3.46606 -0.8 -0.1 0.7
H 2.14162 -1.50821 4.26316 0.0 0.1 -0.1
H 0.65492 -1.90271 6.20146 0.0 0.0 -0.1
H -1.48698 -0.66731 6.39786 0.0 0.0 0.0
H -2.14058 0.96839 4.65076 0.0 0.0 -0.1
H -0.65618 1.37239 2.70886 0.0 0.1 -0.1
```
Positions in Å, forces in eV/Å.

Mulliken atomic charge list, values in e, 4 entries: Ho 0.545; Cl -0.384; C -1.257; H 0.325